'''
# 1
YTi2CdO6F: simulated XRD peak list (CuKα), based on the PBE geometry in the Materials Project.

Most intense lines, 2θ from 10° to 90°, low angle first:
d (Å)  I (rel.)
5.989  181
2.995  1000
2.911  942
2.562  289
2.545  140
1.852  175
1.806  670
1.774  162
1.562  267
1.526  239

Unit cell a=7.2256 b=7.2256 c=7.2256 alpha=121.19 beta=118.33 gamma=90.44
Element x y z (fractional)
1 Y 0.0000 0.0000 0.0000
2 Y 0.5000 0.0000 0.5000
3 Ti 0.0000 0.5000 0.5000
4 Ti 0.5000 0.0000 0.0000
5 Ti 0.5000 0.5000 0.0000
6 Ti 0.5000 0.5000 0.5000
7 Cd 0.0000 0.0000 0.5000
8 Cd 0.0000 0.5000 0.0000
9 O 0.1709 0.4209 0.7500
10 O 0.1732 0.4133 0.3415
11 O 0.1732 0.8316 0.7598
12 O 0.4154 0.1654 0.2500
13 O 0.4282 0.1684 0.8415
14 O 0.4282 0.5867 0.2598
15 O 0.5718 0.4133 0.7402
16 O 0.5718 0.8316 0.1585
17 O 0.5846 0.8346 0.7500
18 O 0.8268 0.1684 0.2402
19 O 0.8268 0.5867 0.6585
20 O 0.8291 0.5791 0.2500
21 F 0.1338 0.8838 0.2500
22 F 0.8662 0.1162 0.7500

=====

# 2
Ga4SiO8: simulated XRD peak list (CuKα), based on the PBE geometry in the Materials Project.

Most intense lines, 2θ from 10° to 90°, low angle first:
d (Å)  I (rel.)
7.601  839
3.800  477
3.377  682
2.964  419
2.785  945
2.536  581
2.494  1000
2.408  586
1.659  411
1.568  446

Unit cell a=6.4009 b=6.4009 c=9.4082 alpha=124.97 beta=124.97 gamma=26.94
Element x y z (fractional)
1 Ga 0.0387 0.0387 0.2217
2 Ga 0.2552 0.2552 0.8557
3 Ga 0.7448 0.7448 0.1443
4 Ga 0.9613 0.9613 0.7783
5 Si 0.5000 0.5000 0.5000
6 O 0.0551 0.0551 0.4316
7 O 0.1462 0.1462 0.9631
8 O 0.3481 0.3481 0.2941
9 O 0.3855 0.3855 0.7987
10 O 0.6145 0.6145 0.2013
11 O 0.6519 0.6519 0.7059
12 O 0.8538 0.8538 0.0369
13 O 0.9449 0.9449 0.5684

=====

# 3
Sr3Ir2O7: simulated XRD peak list (CuKα), based on the PBE geometry in the Materials Project.

Most intense lines, 2θ from 10° to 90°, low angle first:
d (Å)  I (rel.)
5.200  361
3.261  697
3.060  1000
2.959  682
2.894  801
2.191  488
2.024  220
1.841  281
1.803  236
1.760  231

Unit cell a=5.8401 b=5.8401 c=6.9717 alpha=112.32 beta=112.32 gamma=67.88
Element x y z (fractional)
1 Sr 0.0000 0.0000 0.0000
2 Sr 0.1935 0.1935 0.6084
3 Sr 0.8065 0.8065 0.3916
4 Ir 0.4174 0.4174 0.2002
5 Ir 0.5826 0.5826 0.7998
6 O 0.1691 0.7440 0.2588
7 O 0.2560 0.8309 0.7412
8 O 0.2803 0.2803 0.3251
9 O 0.5000 0.5000 0.0000
10 O 0.7197 0.7197 0.6749
11 O 0.7440 0.1691 0.2588
12 O 0.8309 0.2560 0.7412

=====

Please write out number 3 again, unchanged.
Sr3Ir2O7: simulated XRD peak list (CuKα), based on the PBE geometry in the Materials Project.

Most intense lines, 2θ from 10° to 90°, low angle first:
d (Å)  I (rel.)
5.200  361
3.261  697
3.060  1000
2.959  682
2.894  801
2.191  488
2.024  220
1.841  281
1.803  236
1.760  231

Unit cell a=5.8401 b=5.8401 c=6.9717 alpha=112.32 beta=112.32 gamma=67.88
Element x y z (fractional)
1 Sr 0.0000 0.0000 0.0000
2 Sr 0.1935 0.1935 0.6084
3 Sr 0.8065 0.8065 0.3916
4 Ir 0.4174 0.4174 0.2002
5 Ir 0.5826 0.5826 0.7998
6 O 0.1691 0.7440 0.2588
7 O 0.2560 0.8309 0.7412
8 O 0.2803 0.2803 0.3251
9 O 0.5000 0.5000 0.0000
10 O 0.7197 0.7197 0.6749
11 O 0.7440 0.1691 0.2588
12 O 0.8309 0.2560 0.7412
'''

Please restate the entries earlier on with every line break kept.

# 1
YTi2CdO6F: simulated XRD peak list (CuKα), based on the PBE geometry in the Materials Project.

Most intense lines, 2θ from 10° to 90°, low angle first:
d (Å)  I (rel.)
5.989  181
2.995  1000
2.911  942
2.562  289
2.545  140
1.852  175
1.806  670
1.774  162
1.562  267
1.526  239

Unit cell a=7.2256 b=7.2256 c=7.2256 alpha=121.19 beta=118.33 gamma=90.44
Element x y z (fractional)
1 Y 0.0000 0.0000 0.0000
2 Y 0.5000 0.0000 0.5000
3 Ti 0.0000 0.5000 0.5000
4 Ti 0.5000 0.0000 0.0000
5 Ti 0.5000 0.5000 0.0000
6 Ti 0.5000 0.5000 0.5000
7 Cd 0.0000 0.0000 0.5000
8 Cd 0.0000 0.5000 0.0000
9 O 0.1709 0.4209 0.7500
10 O 0.1732 0.4133 0.3415
11 O 0.1732 0.8316 0.7598
12 O 0.4154 0.1654 0.2500
13 O 0.4282 0.1684 0.8415
14 O 0.4282 0.5867 0.2598
15 O 0.5718 0.4133 0.7402
16 O 0.5718 0.8316 0.1585
17 O 0.5846 0.8346 0.7500
18 O 0.8268 0.1684 0.2402
19 O 0.8268 0.5867 0.6585
20 O 0.8291 0.5791 0.2500
21 F 0.1338 0.8838 0.2500
22 F 0.8662 0.1162 0.7500

=====

# 2
Ga4SiO8: simulated XRD peak list (CuKα), based on the PBE geometry in the Materials Project.

Most intense lines, 2θ from 10° to 90°, low angle first:
d (Å)  I (rel.)
7.601  839
3.800  477
3.377  682
2.964  419
2.785  945
2.536  581
2.494  1000
2.408  586
1.659  411
1.568  446

Unit cell a=6.4009 b=6.4009 c=9.4082 alpha=124.97 beta=124.97 gamma=26.94
Element x y z (fractional)
1 Ga 0.0387 0.0387 0.2217
2 Ga 0.2552 0.2552 0.8557
3 Ga 0.7448 0.7448 0.1443
4 Ga 0.9613 0.9613 0.7783
5 Si 0.5000 0.5000 0.5000
6 O 0.0551 0.0551 0.4316
7 O 0.1462 0.1462 0.9631
8 O 0.3481 0.3481 0.2941
9 O 0.3855 0.3855 0.7987
10 O 0.6145 0.6145 0.2013
11 O 0.6519 0.6519 0.7059
12 O 0.8538 0.8538 0.0369
13 O 0.9449 0.9449 0.5684

=====

# 3
Sr3Ir2O7: simulated XRD peak list (CuKα), based on the PBE geometry in the Materials Project.

Most intense lines, 2θ from 10° to 90°, low angle first:
d (Å)  I (rel.)
5.200  361
3.261  697
3.060  1000
2.959  682
2.894  801
2.191  488
2.024  220
1.841  281
1.803  236
1.760  231

Unit cell a=5.8401 b=5.8401 c=6.9717 alpha=112.32 beta=112.32 gamma=67.88
Element x y z (fractional)
1 Sr 0.0000 0.0000 0.0000
2 Sr 0.1935 0.1935 0.6084
3 Sr 0.8065 0.8065 0.3916
4 Ir 0.4174 0.4174 0.2002
5 Ir 0.5826 0.5826 0.7998
6 O 0.1691 0.7440 0.2588
7 O 0.2560 0.8309 0.7412
8 O 0.2803 0.2803 0.3251
9 O 0.5000 0.5000 0.0000
10 O 0.7197 0.7197 0.6749
11 O 0.7440 0.1691 0.2588
12 O 0.8309 0.2560 0.7412

=====

Please write out number 3 again, unchanged.
Sr3Ir2O7: simulated XRD peak list (CuKα), based on the PBE geometry in the Materials Project.

Most intense lines, 2θ from 10° to 90°, low angle first:
d (Å)  I (rel.)
5.200  361
3.261  697
3.060  1000
2.959  682
2.894  801
2.191  488
2.024  220
1.841  281
1.803  236
1.760  231

Unit cell a=5.8401 b=5.8401 c=6.9717 alpha=112.32 beta=112.32 gamma=67.88
Element x y z (fractional)
1 Sr 0.0000 0.0000 0.0000
2 Sr 0.1935 0.1935 0.6084
3 Sr 0.8065 0.8065 0.3916
4 Ir 0.4174 0.4174 0.2002
5 Ir 0.5826 0.5826 0.7998
6 O 0.1691 0.7440 0.2588
7 O 0.2560 0.8309 0.7412
8 O 0.2803 0.2803 0.3251
9 O 0.5000 0.5000 0.0000
10 O 0.7197 0.7197 0.6749
11 O 0.7440 0.1691 0.2588
12 O 0.8309 0.2560 0.7412